Wanted:
Your job: find the line further down that holds "-0.00772 -0.468", then duplicate that line and all lines after it there.
Given:
-- begin --
11
Properties=species:S:1:pos:R:3:nbo_charge:R:1 method="wB97M-V/def2-TZVPD" largest_force_ev_per_a=12.30 de_lowest_kcal_mol=85.2 energy_ha=-397.3968 e_homo_ev=-9.0
O -1.77130 -1.19347 0.01790 -0.421
O -3.19197 0.52732 0.04025 -0.546
N 1.57003 0.10074 -0.00772 -0.468
C 0.86338 -1.00989 -0.07043 -0.121
C -2.03109 0.04502 -0.14130 0.782
C -0.66398 0.56069 -0.24659 -0.294
C -0.44146 -0.73247 -0.05772 0.212
C 0.66877 1.09781 -0.08991 -0.009
H 1.61836 -1.82028 -0.05566 0.219
H 2.47013 0.24916 0.22955 0.420
H 0.90913 2.17537 0.38164 0.227

=====

{
  "formula": "C13H23CeF5NO2P2",
  "method": "ωB97M-V/def2-TZVPD",
  "species": ["Ce", "P", "C", "C", "N", "C", "C", "C", "C", "C", "P", "H", "H", "H", "H", "H", "H", "H", "H", "O", "H", "H", "O", "H", "C", "H", "H", "H", "C", "H", "H", "H", "C", "H", "H", "H", "C", "H", "H", "H", "F", "C", "F", "C", "F", "F", "F"],
  "xyz": [[0.781, -0.606, 1.859], [-3.208, -0.590, 0.405], [-1.866, -1.051, -0.770], [-0.914, 0.089, -1.071], [0.276, 0.120, -0.404], [1.225, 1.019, -0.784], [0.924, 2.050, -1.665], [-0.329, 2.092, -2.264], [-1.236, 1.070, -1.997], [2.618, 0.903, -0.192], [3.129, -0.793, 0.400], [-2.205, 1.022, -2.498], [1.692, 2.801, -1.860], [-0.590, 2.894, -2.950], [3.364, 1.106, -0.976], [2.776, 1.665, 0.599], [-1.372, -1.902, -0.420], [-2.356, -1.318, -1.721], [-1.770, -5.032, -3.213], [-1.789, -5.239, -4.122], [-2.054, -4.413, -4.560], [-4.052, -1.554, 0.969], [-2.248, -1.373, 1.682], [-2.658, -1.293, 2.558], [3.522, -1.626, -1.167], [4.471, -1.256, -1.578], [3.607, -2.702, -0.961], [2.715, -1.476, -1.895], [4.765, -0.481, 1.114], [5.105, -1.412, 1.586], [5.477, -0.187, 0.331], [4.710, 0.297, 1.887], [-3.197, 1.094, 1.083], [-4.040, 1.681, 0.695], [-3.264, 1.079, 2.180], [-2.271, 1.621, 0.815], [-4.579, -0.354, -0.869], [-5.294, -1.180, -0.772], [-5.105, 0.588, -0.674], [-4.185, -0.337, -1.893], [-0.502, 1.552, 3.473], [0.642, 1.757, 2.658], [0.488, 2.985, 2.068], [1.875, 1.722, 3.516], [1.706, 2.272, 4.726], [2.286, 0.371, 3.773], [2.930, 2.323, 2.900]],
  "forces_ev_per_a": [[-2.415, -0.126, 0.841], [-2.857, -0.791, -0.365], [-0.540, 1.532, -1.230], [0.035, -0.168, 0.364], [0.282, -0.055, -0.788], [-0.379, 0.343, 0.052], [0.369, -0.080, 0.092], [-0.036, -0.124, 0.133], [-0.098, -0.053, -0.021], [0.145, 0.229, 0.251], [1.081, 0.339, -1.052], [0.323, 0.061, 0.100], [-0.305, -0.225, -0.116], [0.064, -0.125, 0.086], [-0.265, 0.227, 0.200], [-0.034, -0.319, -0.344], [0.909, -1.260, 0.583], [0.218, 0.055, 0.458], [-0.011, 0.228, 1.628], [-0.096, 0.292, -1.740], [0.095, -0.533, 0.099], [-0.641, 0.071, -0.017], [3.538, 0.695, 1.296], [-0.122, -0.078, -0.284], [-0.303, -0.514, -0.036], [-0.282, -0.029, 0.164], [0.076, 0.225, -0.219], [0.164, -0.074, 0.143], [0.081, -0.017, 0.450], [0.062, 0.241, -0.123], [-0.204, -0.032, 0.210], [0.080, -0.188, -0.169], [0.134, 0.339, 0.448], [0.363, -0.271, 0.119], [0.086, -0.010, -0.313], [-0.100, -0.124, 0.080], [0.495, 0.559, -0.441], [0.262, 0.200, -0.111], [-0.067, -0.279, -0.221], [-0.383, 0.133, 0.014], [1.155, -0.258, -0.417], [-0.877, -0.343, -1.045], [0.370, -1.005, 0.496], [1.120, 2.412, 2.159], [0.439, -0.661, -1.018], [-0.766, 0.606, -0.913], [-1.165, -1.044, 0.517]],
  "lowdin_spin": [1.022, 0.000, 0.000, 0.000, -0.003, 0.000, 0.000, 0.000, 0.000, 0.000, -0.004, 0.000, 0.000, 0.000, 0.000, 0.000, 0.000, 0.000, 0.000, 0.000, 0.000, 0.000, -0.001, 0.000, -0.001, 0.000, 0.000, 0.000, -0.001, 0.000, 0.000, 0.000, 0.000, 0.000, 0.000, 0.000, 0.000, 0.000, 0.000, 0.000, -0.001, -0.007, -0.001, -0.001, 0.000, -0.001, 0.000],
  "orbital_gap_ev": [7.62, 7.75],
  "relative_energy_kcal_mol": 40.3,
  "multiplicity": 2,
  "total_charge": 2,
  "s2": 0.751
}



{
  "formula": "C2H2N2OS",
  "method": "ωB97M-V/def2-TZVPD",
  "species": ["H", "N", "C", "O", "N", "C", "S", "H"],
-- stop --
Solution:
N 1.57003 0.10074 -0.00772 -0.468
C 0.86338 -1.00989 -0.07043 -0.121
C -2.03109 0.04502 -0.14130 0.782
C -0.66398 0.56069 -0.24659 -0.294
C -0.44146 -0.73247 -0.05772 0.212
C 0.66877 1.09781 -0.08991 -0.009
H 1.61836 -1.82028 -0.05566 0.219
H 2.47013 0.24916 0.22955 0.420
H 0.90913 2.17537 0.38164 0.227

=====

{
  "formula": "C13H23CeF5NO2P2",
  "method": "ωB97M-V/def2-TZVPD",
  "species": ["Ce", "P", "C", "C", "N", "C", "C", "C", "C", "C", "P", "H", "H", "H", "H", "H", "H", "H", "H", "O", "H", "H", "O", "H", "C", "H", "H", "H", "C", "H", "H", "H", "C", "H", "H", "H", "C", "H", "H", "H", "F", "C", "F", "C", "F", "F", "F"],
  "xyz": [[0.781, -0.606, 1.859], [-3.208, -0.590, 0.405], [-1.866, -1.051, -0.770], [-0.914, 0.089, -1.071], [0.276, 0.120, -0.404], [1.225, 1.019, -0.784], [0.924, 2.050, -1.665], [-0.329, 2.092, -2.264], [-1.236, 1.070, -1.997], [2.618, 0.903, -0.192], [3.129, -0.793, 0.400], [-2.205, 1.022, -2.498], [1.692, 2.801, -1.860], [-0.590, 2.894, -2.950], [3.364, 1.106, -0.976], [2.776, 1.665, 0.599], [-1.372, -1.902, -0.420], [-2.356, -1.318, -1.721], [-1.770, -5.032, -3.213], [-1.789, -5.239, -4.122], [-2.054, -4.413, -4.560], [-4.052, -1.554, 0.969], [-2.248, -1.373, 1.682], [-2.658, -1.293, 2.558], [3.522, -1.626, -1.167], [4.471, -1.256, -1.578], [3.607, -2.702, -0.961], [2.715, -1.476, -1.895], [4.765, -0.481, 1.114], [5.105, -1.412, 1.586], [5.477, -0.187, 0.331], [4.710, 0.297, 1.887], [-3.197, 1.094, 1.083], [-4.040, 1.681, 0.695], [-3.264, 1.079, 2.180], [-2.271, 1.621, 0.815], [-4.579, -0.354, -0.869], [-5.294, -1.180, -0.772], [-5.105, 0.588, -0.674], [-4.185, -0.337, -1.893], [-0.502, 1.552, 3.473], [0.642, 1.757, 2.658], [0.488, 2.985, 2.068], [1.875, 1.722, 3.516], [1.706, 2.272, 4.726], [2.286, 0.371, 3.773], [2.930, 2.323, 2.900]],
  "forces_ev_per_a": [[-2.415, -0.126, 0.841], [-2.857, -0.791, -0.365], [-0.540, 1.532, -1.230], [0.035, -0.168, 0.364], [0.282, -0.055, -0.788], [-0.379, 0.343, 0.052], [0.369, -0.080, 0.092], [-0.036, -0.124, 0.133], [-0.098, -0.053, -0.021], [0.145, 0.229, 0.251], [1.081, 0.339, -1.052], [0.323, 0.061, 0.100], [-0.305, -0.225, -0.116], [0.064, -0.125, 0.086], [-0.265, 0.227, 0.200], [-0.034, -0.319, -0.344], [0.909, -1.260, 0.583], [0.218, 0.055, 0.458], [-0.011, 0.228, 1.628], [-0.096, 0.292, -1.740], [0.095, -0.533, 0.099], [-0.641, 0.071, -0.017], [3.538, 0.695, 1.296], [-0.122, -0.078, -0.284], [-0.303, -0.514, -0.036], [-0.282, -0.029, 0.164], [0.076, 0.225, -0.219], [0.164, -0.074, 0.143], [0.081, -0.017, 0.450], [0.062, 0.241, -0.123], [-0.204, -0.032, 0.210], [0.080, -0.188, -0.169], [0.134, 0.339, 0.448], [0.363, -0.271, 0.119], [0.086, -0.010, -0.313], [-0.100, -0.124, 0.080], [0.495, 0.559, -0.441], [0.262, 0.200, -0.111], [-0.067, -0.279, -0.221], [-0.383, 0.133, 0.014], [1.155, -0.258, -0.417], [-0.877, -0.343, -1.045], [0.370, -1.005, 0.496], [1.120, 2.412, 2.159], [0.439, -0.661, -1.018], [-0.766, 0.606, -0.913], [-1.165, -1.044, 0.517]],
  "lowdin_spin": [1.022, 0.000, 0.000, 0.000, -0.003, 0.000, 0.000, 0.000, 0.000, 0.000, -0.004, 0.000, 0.000, 0.000, 0.000, 0.000, 0.000, 0.000, 0.000, 0.000, 0.000, 0.000, -0.001, 0.000, -0.001, 0.000, 0.000, 0.000, -0.001, 0.000, 0.000, 0.000, 0.000, 0.000, 0.000, 0.000, 0.000, 0.000, 0.000, 0.000, -0.001, -0.007, -0.001, -0.001, 0.000, -0.001, 0.000],
  "orbital_gap_ev": [7.62, 7.75],
  "relative_energy_kcal_mol": 40.3,
  "multiplicity": 2,
  "total_charge": 2,
  "s2": 0.751
}



{
  "formula": "C2H2N2OS",
  "method": "ωB97M-V/def2-TZVPD",
  "species": ["H", "N", "C", "O", "N", "C", "S", "H"],